Ausable Bayfield Conservation Foundation celebrates 50th anniversary in 2024
Community makes Conservation Foundation’s work possible thanks to donations, support for fundraising events, volunteering
Ausable Bayfield Conservation Foundation (ABCF) is celebrating, in 2024, 50 years of sustaining healthy watersheds, through active community partnerships, in the Ausable Bayfield area.
The Conservation Foundation received its charter (Province of Ontario Letters Patent) on June 1, 1974.
During this 50th anniversary year, the Foundation thanks all the people who support its work.
Dave Frayne is ABCF Chair.
“On behalf of the ABCF Board of Directors, I would like to thank everyone who has donated to the work of Ausable Bayfield Conservation Foundation over five decades, to everyone who has supported our fundraisers, and to all the volunteers who have provided their time,” he said. “I would also like to thank the current board of directors and all the community members who have served as directors over the years.”
The ABCF is its own organization with a community board of directors. It is a sister organization to Ausable Bayfield Conservation Authority (ABCA). The ABCF also supports conservation in Ausable Bayfield watersheds and shares, along with ABCA, the values of protecting water quality, soil health, and habitat for all living things.
Marissa Vaughan is ABCA Chair. She says the Conservation Foundation raises money for conservation improvements in watershed communities and makes many important programs possible that could not happen otherwise.
“I would like to congratulate Ausable Bayfield Conservation Foundation on 50 years of support for conservation of watershed resources,” she said. “Our watershed is healthier thanks to the contributions of the Conservation Foundation and everyone who supports its work.”
The ABCF mandate is to raise funds and to provide funds for conservation in the watershed and to acquire and preserve conservation lands and to foster partnerships. The Conservation Foundation’s mission is to foster financial partnerships supporting watersheds. Its vision is one of active community partnerships sustaining healthy watersheds.
The Foundation raises funds for local conservation through fundraisers including the Conservation Dinner, a 34-year partnership with Exeter Lions Club. The ABCF has also established five commemorative woods sites across the watershed area.
The ABCF created the Huron Tract Land Trust Conservancy (HTLTC), which has its own board of directors, in 2011. Land trusts permanently protect the natural, recreational, scenic, historical, or agricultural importance of properties that are donated by generous donors. The HTLTC permanently protects five properties in the historic Huron Tract area within Huron, Lambton, Middlesex, and Perth counties. These five important natural areas are: Mayhew Tract, near Holmesville; Bayfield River Flats Natural Area; Woodburne Farm, near Goderich; Heaman Tract, near Ailsa Craig; and Warner Preserve, Grand Bend.
The ABCF has supported many conservation programs over its 50-year history. These programs include subsidies for conservation education programs, a student environmental grant bursary for a local student, a summer conservation job experience program for a local student as Junior Conservationist, and support for habitat improvements and accessible trails and conservation areas. The Conservation Foundation also partners with Exeter Lions Club to stock Rainbow Trout in Morrison Reservoir (Morrison Lake) for the annual family-friendly fishing derby.
We would like to extend our thanks to all the people who have donated to the Foundation and have supported its important fundraising work.
We also want to thank the current members of the Board of Directors: Dave Frayne, Chair; Charles Miner, Vice Chair; Bob Radtke, Past Chair; Janet Clarke; George Irvin; David McClure; Anne Melady; Roger Lewington; and Robert Norris.
We would also like to acknowledge the first Directors, of the Conservation Foundation, in 1974: Elgin Thompson (Tuckersmith); Richard Edward Pooley (Exeter); Frederick Lyle Heaman (McGillivray); William John Amos (McGillivray); John Anthony Stephen (Blanshard); Ivan Hearn (Lucan); Freeman Hodgins (Parkhill); John Tinney (Hay); and Roylance Westcott (Usborne).
We also thank all the other community members who have served on the ABCF Board of Directors over the years.
If you would like to donate to the work of ABCF, please visit the donation page or phone 519-235-2610 or toll-free 1-888-286-2610. You may also donate by e-Transfer using the email address.
Learn more:
Register now for Summer Nature Day Camps 2024
There is a limited number of spots available to register for WILD (Wonder, Investigate, Learn and Discover) Summer Nature Day Camps in 2024.
The nature camps take place at Morrison Dam Conservation Area and other local conservation areas this summer.
To learn more, visit the Summer Nature Day Camps web page.
To register, click on the registration form.
Notice – Call for Applications – Position available on local Source Protection Committee
Applications are being accepted for a representative from the agriculture sector
Ausable Bayfield Source Protection Authority, on behalf of Ausable Bayfield Maitland Valley Source Protection Region, seeks applications, from the agricultural sector, to fill a vacancy on the Committee.
Please submit your application by Friday, July 5, 2024 at noon, local time.
Learn more about the Call for Applications for Agriculture Sector Representative on Source Protection Committee.
Read the latest drinking water source protection e-newsletter issue for news about a Notice of call for applications for a position available, for a representative from agriculture, on the local source protection committee; the source protection region's latest Annual Progress Report; and more.
Learn about amazing frogs on Frog Fridays
# Someone pasted quantum chemistry results at this point
-- begin --
Below is 11 unconnected molecules or ions with the total composition C39H106N6O11 in a non-equilibrium geometry, with properties calculated with ωB97M-V with the def2-TZVPD basis set.

The geometry in ORCA input format:
```
! wB97M-V def2-TZVPD RIJCOSX def2/J DEFGRID3
* xyz 0 1
C -2.927 -1.938 1.345
O -1.647 -1.849 0.673
C -1.294 -0.481 0.715
C 0.124 -0.253 0.167
C 1.139 -1.166 0.741
N 0.499 1.185 0.231
H -3.685 -1.438 0.782
H -2.896 -1.589 2.348
H -3.124 -2.985 1.360
H -1.983 0.096 0.028
H -1.459 -0.036 1.715
H 0.020 -0.408 -0.909
H 1.047 -1.130 1.840
H 2.170 -1.002 0.510
H 0.982 -2.167 0.370
H 0.789 1.555 1.114
H -0.164 1.782 -0.182
C 3.991 -0.381 2.703
O 3.098 0.643 2.802
C 2.475 0.699 4.054
C 1.328 1.711 4.188
C 1.798 3.093 4.482
N 0.459 1.312 5.316
H 4.768 -0.350 3.453
H 4.403 -0.221 1.683
H 3.597 -1.409 2.898
H 2.017 -0.251 4.247
H 3.282 0.872 4.791
H 0.786 1.824 3.240
H 2.460 3.169 5.431
H 1.016 3.833 4.632
H 2.460 3.551 3.725
H -0.105 2.106 5.525
H -0.022 0.436 5.238
C 2.882 4.414 -4.492
O 2.725 3.597 -3.346
C 3.631 3.835 -2.252
C 3.022 3.517 -0.879
C 1.926 4.514 -0.523
N 4.112 3.556 0.050
H 1.875 4.442 -4.872
H 3.574 4.001 -5.225
H 3.253 5.370 -4.127
H 4.399 3.118 -2.359
H 4.113 4.833 -2.332
H 2.526 2.561 -0.952
H 1.216 4.589 -1.397
H 2.306 5.519 -0.319
H 1.315 4.274 0.358
H 3.722 3.631 1.018
H 4.655 2.723 -0.029
C -3.451 6.338 1.246
O -3.508 4.945 1.265
C -3.068 4.397 2.468
C -2.752 2.919 2.208
C -4.080 2.066 1.947
N -2.093 2.460 3.466
H -2.563 6.688 0.786
H -3.552 6.809 2.204
H -4.277 6.754 0.625
H -2.171 4.930 2.763
H -3.886 4.381 3.205
H -2.082 2.809 1.383
H -4.684 2.610 1.140
H -4.669 2.209 2.845
H -3.890 1.065 1.567
H -1.828 1.430 3.439
H -2.688 2.581 4.291
C -0.452 2.187 -3.073
O -1.083 2.955 -2.158
C -2.513 2.905 -1.957
C -3.216 3.897 -2.812
C -2.591 5.292 -2.706
N -4.670 3.853 -2.550
H 0.597 2.346 -3.051
H -0.817 2.321 -4.097
H -0.545 1.089 -2.852
H -2.838 1.862 -2.101
H -2.658 3.028 -0.899
H -3.030 3.550 -3.808
H -3.058 5.956 -3.437
H -1.502 5.128 -2.884
H -2.755 5.638 -1.675
H -4.763 4.218 -1.611
H -5.157 4.484 -3.212
C 0.170 -1.958 -3.146
O -0.384 -2.206 -4.404
C -0.982 -1.047 -4.933
C -1.457 -1.298 -6.375
C -0.334 -1.890 -7.190
N -2.042 0.010 -6.864
H -0.586 -1.862 -2.348
H 0.723 -0.978 -3.176
H 0.926 -2.708 -2.881
H -1.836 -0.762 -4.264
H -0.262 -0.220 -4.958
H -2.285 -2.008 -6.333
H 0.555 -1.259 -7.242
H -0.734 -2.128 -8.174
H -0.010 -2.797 -6.630
H -1.297 0.689 -6.957
H -2.435 -0.091 -7.798
C 2.296 -4.341 -0.828
C 3.377 -4.521 0.218
C 3.536 -5.919 0.782
O 4.598 -4.087 -0.387
H 2.475 -5.048 -1.652
H 2.404 -3.297 -1.163
H 1.237 -4.505 -0.483
H 3.110 -3.842 1.029
H 4.255 -5.986 1.538
H 3.876 -6.574 -0.047
H 2.573 -6.339 1.160
H 5.245 -3.931 0.322
C -1.797 -4.822 -1.576
C -3.207 -4.317 -1.625
C -3.280 -3.108 -2.529
O -3.956 -5.435 -2.088
H -1.193 -3.970 -1.194
H -1.352 -4.924 -2.590
H -1.693 -5.644 -0.922
H -3.511 -3.988 -0.624
H -4.237 -2.649 -2.524
H -2.936 -3.330 -3.557
H -2.550 -2.401 -2.163
H -4.904 -5.293 -2.244
-- stop --
We hope you have been enjoying our Friday social media posts for Frog Friday.
What amazing creatures!
In the photo above, that’s not plant matter on this frog’s eye. It's his nictating membrane! Frogs use this clear third eyelid for protection while swimming, sleeping, and hibernating. It also helps keep the eyes moist while still being able to keep watch for predators and prey.
Check out our social media platforms for a photo of a Green Frog laying low in the Old Ausable Channel in the Grand Bend area.
Listen for their distinctive 'gunk' call – often compared to the plucking of a loose banjo string.
You’ll hear them in wetlands across the watershed!
Help us to restore and enhance wetlands in our watershed. Call your local wetlands experts at Ausable Bayfield Conservation.
Learn more about animal species in Ausable Bayfield watersheds, and how to protect them, in the Watershed Report Card.
Find out more about creating wetlands for species habitat and other benefits on our wetlands web page.
#FrogFriday #FrogFridays #Wetlands #WetlandsAusableBayfield

This Wood Duck is dabbling for food in the sheltered waters of Hay Swamp.
Wood Ducks like to nest in hollowed tree cavities but will also take up residence in Duck Boxes.
Reach out to us about getting your very own Duck Box, or a kit to build one yourself – a great family activity.
Contact Ben or Angela to find out more.
June 17-23, 2024 is Pollinator Week
Support the pollinators we need for life.
Plant native species of plants.
Check out our list of some of the suppliers that sell native plant species.
Watch the video of the pollinator garden at Morrison Dam Conservation Area.

Celebrate Canadian Environment Week, donate to tree planting
Canadian Environment Week 2024 started on June 2 and continues on June 8.
What are you doing to protect and enhance water, soil and habitat during #EnviroWeek ...?
Every tree counts!
With your donation of $22, through Carbon Footprints to Forests, we will plant four trees.
Those trees will capture, over their lifetime, 1.26 tonnes of carbon dioxide and greenhouse gases from your carbon footprint. That's the equivalent of 5,000 km of driving.
Donate now and we will plant those trees.
During Canadian Environment Week, we celebrate all Canadians who are conserving and protecting soil, water, air and habitat for all living things.
Take positive action today!
Enjoy this short (two-minute) video with relaxing spring footage, taken in May of 2024, on the Morrison Dam Conservation Area Section of the South Huron Trail.
This movie is videotaped in 4K Ultra High Definition.
Tour the Triebner Tract on June 12
You are invited to join Ausable Bayfield Conservation on a restoration project tour, at Triebner Tract, on Wednesday, June 12, 2024 at 6 p.m.
Triebner Tract is located northwest of Exeter, near the intersection of Bells Line and MacDonald Road.
For map and details, please download the poster – 300 KB (medium-sized) PDF file
At the June 12 event, you will learn about the restoration work that has been completed at Triebner Tract. More than 10,000 trees have been planted there and five acres of wetlands have been restored. Triebner Tract is home to the new five-acre Buttnerut Seed Archive orchard, created in partnership with Forest Gene Conservation Association (FGCA) and other partners.
Ausable Bayfield Conservation staff, along with secondary school students and other community members, have planted many native plant and shrub species at Triebner Tract.
To learn more about the event, email Nathan Schoelier at 519-235-2610 or toll-free 1-888-286-2610, extension 263. Or, you may email Nathan at
About Triebner Tract
Triebner Tract is conservation land owned by Ausable Bayfield Conservation Authority (ABCA) for protection of water, soil, habitat, and passive recreation.
“Through the partnership of dedicated groups, and the generosity of the former owner, the late Stuart Alexander Triebner and family, we were able to acquire this land, known as the Triebner Tract, in 2009,” said Nathan Schoelier, ABCA Stewardship and Lands Manager.
Trees and wetlands offer many benefits to human and ecosystem health, natural infrastructure, and water quality. Forest and wetland cover is limited in areas throughout the watershed. The Triebner Tract project contributes towards both forest and wetland cover, providing local and downstream water quality benefits.
The Triebner Tract restoration project complements tree planting, wetland restoration, and other projects that private landowners complete each year, working to improve the overall health of the watershed.
If you are interested in completing projects on your own property, Ausable Bayfield staff are happy to assist with project implementation and applying for funding support.
Conservation lands, owned by ABCA, are open to passive public recreation, including hiking, snowshoeing and birdwatching.
Triebner Tract is located in the former Hay Township in the Municipality of Bluewater.
The 100-acre Triebner Tract property was purchased by ABCA from the Triebner family in 2009. The property protects 60 acres of mature swamp forest within the Hay Swamp Provincially Significant Wetland Complex. The conservation authority has restored a mix of wetlands and forests on about 40 acres of the property to enhance the existing natural habitat.
The restoration project was undertaken with the financial support of the Nature Smart Climate Solutions Fund, a Government of Canada’s Department of Environment and Climate Change program in partnership with Conservation Ontario.
This project has received funding support from the Government of Ontario.
The tree planting at Triebner Tract is also possible thanks to funding support from Tree Canada and thanks to contributions from Eco Exeter and Huron County Clean Water Project and a memorial donation, in memory of Terry Blok, to Ausable Bayfield Conservation Foundation.
The wetland enhancement at Triebner Tract is also thanks to support from Ducks Unlimited Canada. Ausable Bayfield Conservation Foundation is also a contributor to the forest and wetland project.
Learn more:
Staff Profile Feature – Meet Erik Strahl
In this issue of our newsletter, we continue the Meet Our Staff feature we began last issue.
In this edition, we would like to introduce you to one of Ausable Bayfield Conservation's newest employees, Erik Strahl.
Erik is Water and Planning Technician and he started with Ausable Bayfield Conservation Authority (ABCA) at the end of April, 2024.
He is from the Bayfield area and he has a Bachelor’s degree in Water Resources Engineering from the University of Guelph.
Geoff Cade is Water and Planning Manager at ABCA. He says he looks forward to Erik’s work in an important area of conservation. “I welcome Erik to the ABCA team," he said. He said Erik brings with him many strengths that are assisting ABCA in fulfilling its conservation mandate.
Erik said he is thrilled to join the Ausable Bayfield Conservation team. "This role allows me to merge my technical skills with my commitment to sustainable water management, making every day an opportunity to make a tangible difference," he said. "The chance to work alongside dedicated professionals in safeguarding our water resources and shaping resilient development strategies is incredibly inspiring.”
Erik said "I would like to thank the ABCA staff for welcoming me to their team and getting me involved in rewarding work straight away."
When not working at Ausable Bayfield Conservation, Erik says he enjoys spending his time in nature. He is an avid golfer and enjoys passing the time at the lake.
Welcome, Erik!
Report turtle sightings using online form
Turtles are on the move in our watershed communities.
Nesting has begun so now is a great time for all drivers to slow down and be on the lookout for turtles.
Want to learn how to pick up a Snapping Turtle? Check out this moving-a-turtle video!
If you see turtles, report your sightings.
For those who are reporting turtle sightings, especially those turtles that are nesting, we invite you to submit your sightings through our online form.
So, you've seen a turtle ... now what?
Is the turtle injured? If so, you may call the Ontario Turtle Conservation Centre at 1-705-741-5000 as soon as possible. They will provide direction on how to get help for the turtle.
Is the turtle crossing the road? If it safe to do so, move the turtle across the road in the direction it is heading and then wave good-bye.
Is the turtle nesting? If so, use the online form to document the location. This may make it possible to have the nest protected.
Is the turtle okay? If so, let us know through our online form or using the iNaturalist app.
To learn more, visit our turtles web page.
Wetland Update
Here’s an update on an earlier post we did about wetland excavation.
The pools are storing water and vegetation is peeking out of the topsoil.
A seed mix was broadcast earlier this spring which will soon be followed by planting a variety of native wetland species. Even though this is a new wetland, the landowner has already seen a flock of Ring-necked Ducks stopping over on their migration path.
Interested in wetlands? Contact your local wetland experts here at Ausable Bayfield Conservation.
Fish for free on special dates in June, July
Four times a year, Canadian residents can fish in Ontario for free.
This means you do not need to buy a fishing licence if you want to fish on special dates including the upcoming dates:
- Father’s Day Family Fishing Weekend in Ontario (June 15–16, 2024)
- Family Fishing Week in Ontario (June 29–July 7, 2024)
Learn more here on Ontario's free family fishing web page.
Watch this Fishing 101 video with fishing tips.
We encourage you to always practise catch-and-release fishing.
Make global change with local action
Looking for ways to make global change with local action during Canadian Environment Week?
Learn about ways to protect forest conditions and water quality in your local watershed.
Check out your Watershed Report Card for your local area.
#WatershedCheckup #WatershedReportCard #MonitoringMatters
Help to keep drinking water sources clean ... on Wednesdays, and every day!
On each Wednesday, from April 17 to June 5, the Ausable Bayfield Maitland Valley Drinking Water Source Protection Region has been sharing public information messages, on social media, for #WaterWednesdays
Here are some of the ideas, from the campaign, on how to keep water safe and clean:
- Test your well water. Protect your well water. Maintain your well and septic system.
- Know your septic system. If your septic system malfunctions it can impair well water quality for you, your family, your guests, and your neighbours. Learn about managing your septic system
- Spring is a great time to get your well water tested by local public health. Consider well water testing as part of your spring routine.
- Opening the cottage for the season? Protect your drinking water by maintaining your well and your septic system and your heating oil fuel tanks.
- Lawn fertilizers may go with the flow and contaminate drinking water sources. Protect your water. Use 4Rs – the right source, at the right rate, at the right time, in the right place.
- Spring cleaning? Help protect #DrinkingWaterSources by reducing the use of harsh chemical cleaning products. Consider using chemical-free and non-toxic cleaning products.
- Here’s the scoop on pet poop. If you don’t stoop and scoop, dog feces can pollute your drinking water sources with bacteria, viruses, parasites and more. Pick up pet waste and toss it in the trash can to protect our #DrinkingWaterSources
Visit Ausable Bayfield social media platforms for more ideas on how to keep our drinking water safe and clean.
Find out more on our source protection best practices web page.
#BestPractices #TestProtectMaintain